Basics of Machine Learning Models

John Roberts
K Means What?
Published in
5 min readMay 11, 2017

<<<
First-principles (GGA+U) data for a relaxed LiCr4Hg2O8 crystal, as listed in Alexandria.

Calculated volume, Å³/cell: 358.56
E_tot, eV per atom: -6.24
ΔE to the lowest computed polymorph, meV per atom: 0

a = 10.616 Å, b = 6.072 Å, c = 6.721 Å
α = 90.00°, β = 124.14°, γ = 90.00°
Space group Cm (No. 8)
Symmetry-distinct sites (fractional):
Li 0.000 0.000 0.000 x2
Cr 0.023 0.500 0.007 x2
Cr 0.029 0.500 0.506 x2
Cr 0.273 0.250 0.005 x4
Hg 0.191 0.000 0.452 x2
Hg 0.387 0.500 0.556 x2
>>>

I’ve been spending the week at ServiceNow’s Knowledge17 user conference with 15,000 enterprise technology and process experts. There’s been plenty of buzz about artificial intelligence and machine learning based solutions for IT and enterprise service management. I’m here to help you understand the basic concepts without worrying about all the complexities behind these scary or overly generalized terms.

The last post covered a relatively basic machine learning solution for predicting an incident’s category to reduce the time and cost of manual triaging. Let’s take a look at the machine learning concepts needed to make these predictions. To recap, we need to take some initial incident information and predict a category so it can be routed and assigned to the best resource for resolving. We’ll do this using a machine learning model trained on historical incident data.

So What’s a Model?

You can think about the simplest of models as algorithms. Given some known inputs, classify the incident using a defined list of category options. There are many types of models and the degree of complexity is infinite. Classification models are typically used to solve this challenge. The type of model will dictate how a model is trained and tested. The following concepts generally apply to most situations.

Analysis and Data Grooming

Before we can start training a model we should review the historical incidents that we will be using as training data for two primary reasons. Both of these can be enhanced by a solid understanding of the data and the process or system that is generating the data. First, training should be based on clean and reliable data. Second, there should be an understanding of the field values and what they represent in the incident process and lifecycle.

How reliable is the historical data? Are all of the category values found in the historical incidents still valid choices? If some categories are no longer used we would probably want to exclude those records since they’d be of little value. The same goes for the generic catch-all categories like “Other”. There’s much more to this process but in general our goal is to ensure we have reliable data.

Each incident includes the field variable values (inputs) and the category field value when it was resolved (target output). Because we have true mappings between input and output values this is considered a supervised training example. I’ll save unsupervised concepts for another day.

Model Training

There’s one more step we need to take on the data. We need a way to test variations of models so we can identify which model performs the best. In order to test, we need to run predictions on some incidents that we already know the target category for. Without these known target values it would be like taking an exam and not having the answers to check your score. Instead of using all of the historical data for training, we’ll withhold some, say 20%. This will be used to test the performance of each model. Since the model test results are also used in an iterative modeling training process, we might also withhold another 10% that will only be used to validate models that the training process reports as the best performance. We’ll see why this is important in a bit. When splitting the source data into training, test, and validation sets it’s important that the splits are representative of the overall set. Stay tuned for future posts for ways various way to address this.

Feature Engineering

Enterprise IT incidents typically contain 50–100 fields. The majority of these most likely do not have any association with the incident’s category. Feature engineering is an iterative process paired with model training and testing. The objective is to identify the incident fields that are the most likely to be used to determine the category. The inputs to the model are referred to as features. Using the withheld test data we can estimate the performance of the model given a collection of features selected. Using metrics known as feature information gain determine which features provide the most impact on improving the model’s performance.

Feature selection can be a brute force process if you didn’t know anything about the data context. Having knowledge of the process generating the data allows the feature engineering process to be much more streamlined.

For example, if you’re involved in incident management you already have knowledge of the most obvious fields such as descriptions (with keywords), caller’s location/department/role, and impact. Having a solid understanding of how incidents are classified manually and what the target category values mean also helps.

Model Testing and Validating

How does the modeling process test each model to determine it’s performance and identify the optimal features? There are a large number of machine learning frameworks that can be used for model training. Most supervised model engines generally follow the same steps.

  1. Train a model using the training data with known features and target values
  2. Using the trained model, predict target values using the withheld test data set as input and compare results to the actual values
  3. Calculate performance of the model
  4. Iterate the training cycle using different features and weighting, compare performance with previous models
  5. Identify the best model and run predictions against the withheld validation set and calculate the overall performance
  6. Publish the model

What’s the difference between “testing” with test data and validation data? Even though the model is trained on the training data, the modeling process depends on the test data to work through the training process and determine which models are better or worse. This means the model may be heavily weighted toward the types of data in the training and test set, and may not be ideal for future predictions. Since we withheld the validation data until after model training, it should better represent overall performance of the model.

Once a model is deployed we need a feedback mechanism in order to capture these metrics. In the case of ServiceNow incident categorization prediction, we can identify correct and incorrect predictions by monitoring any changes in the category field or comparing the category prediction to the value when the incident was resolved. The changed and resolved values are then used to retrain and publish an updated model.

Don’t fear the black box. Understand the basics and you’ll be able to get more value from your machine learning solutions.

Stay tuned for….

K-fold validation

Overfitting and regularization

Recall, precision, and confidence thresholds

Identifying and tracking failed or incorrect predictions

Using feedback for ongoing model improvements

True positives, false positive, true negatives and false negatives



John Roberts
K Means What?

Co-Founder of Sevwins, the Growth Mindset App for Student-Athletes— Startup advisor — Mentor — Investor — Road & Gravel Cyclist — GA Pilot